Market-Based Causation Arguable in Australian Shareholder Class Actions
Key Points
- Shareholder class actions in Australia typically bring statutory claims that require causation to be demonstrated. There has been an ongoing debate in relation to how causation may be proved. The debate has centred on whether direct reliance is required or some other form of causal link, such as indirect reliance, is permitted.
- Indirect reliance is a form of causation where contraventions of statutory prohibitions or requirements are alleged to cause the share market, as a whole, to inflate the price of a company's securities so that group members suffer losses when they acquire shares at the inflated price.
- The Full Federal Court of Australia has found that indirect reliance in the form of market-based causation may be pleaded to satisfy the causation requirements for the statutory claims relied on by shareholders in class actions.
[Attached: calculated molecules]
********
Density functional theory data (the ωB97M-V functional and the def2-TZVPD basis) for a cluster of 14 separate species, C42H70Cl6F2O9 in total.

Results
E_LUMO (spin up / spin down) = 0.0632 / 0.0615 Eh
Kohn-Sham gap (spin up / spin down) = 1.559 / 6.512 eV
2S+1 = 2
⟨S²⟩ = 0.759
DFT total energy = -143684.2769 eV
charge = -1

Bonds (Å) are listed after each position.
Geometry (Å):
1 F -3.397 -22.804 16.793  C2 1.345
2 C -4.087 -23.476 15.854  F1 1.345, C3 1.415, C7 1.403
3 C -3.531 -23.554 14.554  C2 1.415, C4 1.413, H8 1.080
4 C -4.304 -24.233 13.585  C3 1.413, C5 1.367, H9 1.080
5 C -5.469 -24.864 13.920  C4 1.367, C6 1.388, H10 1.080
6 C -6.009 -24.824 15.198  C5 1.388, C7 1.413, H11 1.080
7 C -5.292 -24.113 16.186  C2 1.403, C6 1.413, H12 1.080
8 H -2.616 -23.077 14.237  C3 1.080
9 H -3.910 -24.298 12.582  C4 1.080
10 H -5.970 -25.486 13.193  C5 1.080
11 H -6.906 -25.384 15.420  C6 1.080
12 H -5.733 -24.033 17.169  C7 1.080
13 F 2.086 -22.555 12.947  C14 1.380
14 C 1.786 -23.233 14.111  F13 1.380, C15 1.387, C19 1.354
15 C 0.491 -23.231 14.607  C14 1.387, C16 1.353, H20 1.080
16 C 0.153 -23.839 15.767  C15 1.353, C17 1.379, H21 1.080
17 C 1.134 -24.482 16.491  C16 1.379, C18 1.427, H22 1.080
18 C 2.479 -24.448 16.015  C17 1.427, C19 1.388, H23 1.080
19 C 2.782 -23.825 14.812  C14 1.354, C18 1.388, H24 1.080
20 H -0.309 -22.814 14.013  C15 1.080
21 H -0.906 -23.881 15.977  C16 1.080
22 H 0.875 -25.070 17.359  C17 1.080
23 H 3.206 -24.926 16.654  C18 1.080
24 H 3.804 -23.758 14.469  C19 1.080
25 C -0.962 -21.116 11.153  Cl26 1.744, Cl27 1.785, H28 1.090, H29 1.090
26 Cl -0.695 -19.811 10.026  C25 1.744
27 Cl -2.033 -20.601 12.484  C25 1.785
28 H -1.529 -21.889 10.635  C25 1.090
29 H -0.006 -21.467 11.542  C25 1.090
30 C -2.091 -26.700 14.709  Cl31 1.719, Cl32 1.781, H33 1.090, H34 1.090
31 Cl -1.303 -27.270 16.125  C30 1.719
32 Cl -1.537 -27.772 13.398  C30 1.781
33 H -3.167 -26.867 14.771  C30 1.090
34 H -1.735 -25.684 14.542  C30 1.090
35 C 5.506 -24.417 12.162  Cl36 1.776, Cl37 1.820, H38 1.090, H39 1.090
36 Cl 4.118 -25.453 11.771  C35 1.776
37 Cl 6.785 -24.479 10.869  C35 1.820
38 H 5.072 -23.420 12.248  C35 1.090
39 H 5.941 -24.727 13.112  C35 1.090
40 C 2.322 -28.089 13.583  C41 1.502, H44 1.090, H45 1.090, H46 1.090
41 C 2.739 -28.803 14.837  C40 1.502, O42 1.270, C43 1.525
42 O 3.870 -29.380 14.864  C41 1.270
43 C 1.819 -28.806 16.053  C41 1.525, H47 1.090, H48 1.090, H49 1.090
44 H 1.973 -27.065 13.716  C40 1.090
45 H 1.455 -28.619 13.189  C40 1.090
46 H 3.035 -28.122 12.760  C40 1.090
47 H 0.899 -29.380 15.944  C43 1.090
48 H 1.565 -27.800 16.388  C43 1.090
49 H 2.352 -29.280 16.877  C43 1.090
50 C 3.710 -18.993 15.737  C51 1.530, H54 1.090, H55 1.090, H56 1.090
51 C 4.775 -19.809 16.474  C50 1.530, O52 1.258, C53 1.525
52 O 5.864 -19.249 16.765  C51 1.258
53 C 4.430 -21.221 16.936  C51 1.525, H57 1.090, H58 1.090, H59 1.090
54 H 2.689 -19.168 16.075  C50 1.090
55 H 3.723 -19.302 14.692  C50 1.090
56 H 3.924 -17.925 15.718  C50 1.090
********
- It is expected that the focus in relation to causation in shareholder class actions will now turn to the particulars of indirect reliance—namely, identifying and proving how the relevant conduct affected the market price.
Shareholder class actions in Australia typically bring statutory claims that require causation to be demonstrated. Direct reliance is the traditional or conventional test for causation and in the shareholder class action context would require each group member to prove that he or she relied on the misleading disclosure in deciding to buy securities. However, it has been contended that direct reliance, while sufficient to prove causation, is not necessary. Other forms of causation, such as indirect reliance, may be employed. In the current case, reference was made to "market-based causation" which was said to operate in the following manner:[1]
The plea is that a misleading statement or omission in a disclosure document causes the market price for the securities to be inflated so that the investor purchases securities at a price which is greater than the investor would otherwise have paid. The investor then suffers loss including when the release of the omitted information or the correction of the misleading statements causes the market price of the securities to fall. None of these causal links requires the investor to rely on the disclosure document.
(Unrelated to this entry: data records)
No. 1
The following is a quantum chemistry calculation of C23H21N3O3 in the gas phase at a distorted geometry, from OMol25.

The geometry in XYZ format:
```
50
Properties=species:S:1:pos:R:3:nbo_charge:R:1
C -4.402 -6.566 -1.516 -0.63
C -3.524 -5.310 -1.674 -0.04
C -2.234 -5.509 -1.678 -0.20
C -1.297 -4.517 -1.487 -0.22
C -1.807 -3.200 -1.217 0.03
C -3.172 -2.938 -1.279 0.26
C -3.993 -4.022 -1.514 -0.22
O -3.786 -1.686 -1.062 -0.48
C -2.995 -0.602 -0.616 0.61
N -3.715 0.481 -0.083 -0.82
C -1.637 -0.730 -0.524 -0.34
C -0.786 0.380 -0.223 0.68
O -1.207 1.383 0.347 -0.66
N 0.529 0.463 -0.674 -0.47
C 1.334 1.580 -0.321 -0.23
C 1.739 1.468 1.181 -0.42
C 1.991 2.887 1.526 -0.14
C 1.000 3.563 2.157 0.01
N 1.438 4.892 2.647 -0.57
C 2.806 4.980 2.307 0.13
C 3.748 5.973 2.537 -0.25
C 5.081 5.693 2.032 -0.21
C 5.399 4.580 1.348 -0.25
C 4.422 3.548 1.134 -0.20
C 3.099 3.750 1.650 -0.02
C 1.050 -0.664 -1.336 0.69
O 2.128 -0.669 -1.829 -0.58
C 0.316 -1.921 -1.665 -0.48
C -0.897 -2.014 -0.706 -0.25
H -3.873 -7.577 -1.566 0.22
H -5.272 -6.579 -2.197 0.22
H -4.724 -6.588 -0.427 0.22
H -1.908 -6.552 -2.019 0.21
H -0.250 -4.678 -1.523 0.22
H -5.067 -3.794 -1.439 0.22
H -3.066 1.095 0.404 0.44
H -4.557 0.860 -0.413 0.40
H 0.738 2.552 -0.531 0.24
H 2.255 1.701 -0.951 0.25
H 2.626 0.839 1.403 0.23
H 0.908 1.123 1.852 0.23
H -0.083 3.141 2.290 0.23
H 0.875 5.550 3.124 0.41
H 3.453 6.873 2.968 0.21
H 5.730 6.589 2.053 0.21
H 6.447 4.418 0.999 0.22
H 4.710 2.662 0.570 0.21
H 1.059 -2.761 -1.676 0.25
H -0.075 -1.855 -2.693 0.24
H -0.553 -2.289 0.308 0.21
```

The value obtained for the highest occupied orbital energy is -7.65 eV. As for the SMILES: Cc1ccc2c(c1)OC(N)=C1C(=O)N(CCc3c[nH]c4ccccc34)C(=O)C[C@@H]12. Its energy above the lowest of the compared OMol25 structures with the same formula, charge and spin is 77.2 kcal per mole. The total energy comes out at -1278.9940 Eh. As for the spin multiplicity: 1.



No. 2
The following is a quantum chemistry calculation of C23H21N3O4S2 as an isolated structure at a distorted geometry, from OMol25.

The geometry in XYZ format:
```
53
Properties=species:S:1:pos:R:3:nbo_charge:R:1
O -3.438 -1.752 2.548 -0.65
C -3.399 -1.944 1.262 0.74
N -2.343 -2.314 0.526 -0.48
C -2.374 -2.726 -0.885 -0.17
H -3.395 -2.940 -1.454 0.23
C -1.675 -1.707 -1.533 -0.27
N -0.413 -1.534 -0.788 -0.56
S 0.335 -0.025 -1.846 2.24
O 0.552 -0.398 -3.177 -0.89
O -0.449 1.049 -1.499 -0.96
C 1.845 0.377 -0.845 -0.32
C 2.829 -0.580 -1.226 -0.16
C 4.187 -0.697 -0.566 -0.03
C 5.285 -1.281 -0.649 -0.21
C 6.433 -1.197 -0.149 -0.15
C 6.506 -0.167 1.032 -0.22
C 5.566 0.546 1.207 -0.18
C 4.261 0.492 0.567 -0.03
C 3.308 1.515 0.653 -0.20
C 1.992 1.277 0.171 -0.21
H 1.123 1.872 0.109 0.26
H 3.200 2.309 1.583 0.23
H 5.624 1.629 1.922 0.19
H 7.453 0.048 1.596 0.23
H 7.280 -1.665 -0.446 0.21
H 5.237 -2.146 -1.412 0.19
H 2.809 -1.648 -1.852 0.25
C -0.383 -1.018 0.447 -0.25
C -1.262 -2.361 1.254 -0.18
H -1.262 -2.174 2.281 0.26
H -0.648 -3.160 0.930 0.19
Application to Amend Pleadings
Shareholders in Arasor International Limited commenced proceedings against directors and the auditors of the company. The claims related to statements in or omissions from the following documents and related conduct:
- a prospectus dated 14 September 2006 in relation to the initial public offering of shares in Arasor in connection with its admission to the official list of the Australian Securities Exchange Ltd ("ASX") and trading of Arasor shares on ASX's market (September prospectus);
- a short form prospectus dated 23 March 2007 (March prospectus);
- Arasor's 2006 financial statements and its 2007 financial statements; and
- the half-yearly financial statement dated 31 August 2007 released by Arasor to the ASX.
The pleadings alleged contraventions of:
- section 728 of the Corporations Act 2001 (Cth) ("Corporations Act") which prohibits the offering of securities under a disclosure document which contains a misleading or deceptive statement or from which there is an omission of material required (relevantly) by s 710 or s 712;
- section 1041H of the Corporations Act which prohibits a person from engaging in conduct in relation to a financial product or a financial service which is misleading or deceptive or likely to mislead or deceive;
- section 12DA of the Australian Securities and Investments Commission Act 2001 (Cth) ("ASIC Act") which prohibits, in trade or commerce, a person from engaging in conduct in relation to financial services which is misleading or deceptive or likely to mislead or deceive; and
- in the director proceedings, s 9 of the Fair Trading Act 1999 (Vic) (and equivalent legislation in other states) ("FTA") which prohibits a person from engaging in conduct in trade or commerce which is misleading or deceptive or likely to mislead or deceive.
The applicants then sought declarations of contravention of the above provisions and damages. The statutory bases for compensation claimed by the applicants are:
- under s 729 of the Corporations Act, for loss or damage "because an offer of securities under a disclosure document contravenes s 728(1)";
- under s 1325 of the Corporations Act, for loss or damage "because of conduct of another person in contravention of [Ch 6D (including ss 728 and 729) and Pt 7.10 (including s 1041H)]";
- under s 1041I of the Corporations Act and ss 12GF and 12GM of the ASIC Act, for loss or damage occasioned "by conduct of another person" that contravenes s 1041H of the Corporations Act and s 12DA of the ASIC Act; and
- under s 159 of the FTA, for loss, injury or damage suffered "because of a contravention of a provision of this Act", relevantly, s 9.
The statutory wording "because" and "by" has been interpreted as necessitating proof of causation.[2]
At first instance, the applicant sought to amend its pleadings to delete direct reliance from two categories of causes of action: (i) those based on misleading statements or omissions in the September prospectus and in the March prospectus; and (ii) those based on misleading conduct in relation to financial products, financial services or in trade or commerce, so as to employ "market-based causation". The Federal Court in determining whether to grant leave to amend revisited the law on causation.
Farrell J explained that causes of action in the second category were based on s 82 of the Trade Practices Act 1974 (Cth) which had been subject to extensive judicial interpretation. The case law accepts that causation can be proved without direct reliance by the person who suffered loss, but there must be reliance in some form, usually by a third party. Her Honour went on to allow the amendment of the pleading:[3]
despite the strength of intermediate appellate court authority which requires reliance to be demonstrated as an element of causation where an investor has entered into a transaction to which the claim of misleading or deceptive conduct is relevant, recent High Court authority on s 82 of the TPA and the fact that market based causation claims relying on ss 1041H and 1041I and their analogues in the ASIC Act in the context of Chapter 6CA have not been considered by the High Court suggest that the state of the law cannot be regarded as so settled that an appropriately pleaded claim would have no reasonable prospect of success.
However, in relation to the first category of claims based on a misleading prospectus, the deletion of reliance was rejected as the court found that the pleading did not set out any other causal connection and would, impermissibly, plead only a conclusion.[4] Her Honour also expressed concern that if reliance was not pleaded, but was ultimately found to be necessary, then those group members who could prove reliance would be unable to recover.[5]
The applicants appealed Farrell J's decision to the Full Federal Court.
Full Federal Court
The primary judge's decision was appealed due to confusion over whether the applicants had been denied the ability to plead market-based causation in relation to ss 728 and 729 of the Corporations Act 2001 (Cth), the first category of claims.
The joint judgment of Gilmour and Foster JJ found that the orders "had the effect of shutting out the applicants from pleading market-based causation in relation to their ss 728 and 729 case".[6] Edelman J disagreed.[7] Nonetheless, the Full Federal Court found such a pleading was arguable as it was neither futile nor likely to be struck out.[8]
The joint judgment relied on the Full Court of the Federal Court in ABN AMRO Bank NV v Bathurst Regional Council (2014) 224 FCR 1 which said at [1375]–[1376] that "[t]here is no bright-line principle that it is insufficient for a plaintiff to prove that some other person relied on the alleged misleading conduct and that that person's reliance led to the plaintiff suffering loss". Moreover the High Court in Campbell v Backoffice Investments Pty Ltd (2009) 238 CLR 304 at [143] noted that "reliance is not a substitute in the context of the Fair Trading Act for the essential question of causation".[9]
The joint judgment also pointed to the text of s 729 which does not refer to reliance and considered that market-based causation may also be supported by the policy behind the provision.[10]
Edelman J found that it was at least arguable that market-based causation could be employed as a technique of causation without reliance. His Honour referred to cases that involve misleading conduct by one trader which leads to customers being diverted from another trader: Janssen-Cilag Pty Ltd v Pfizer Pty Ltd (1992) 37 FCR 526. Edelman J also stated that another factor in favour of market-based causation being arguable was that s 729 permits liability in the case of an omission. Reliance on an omission was described as "a strain of language".[11]
The Full Court also pointed to other recent decisions where pleadings of indirect reliance had been permitted to proceed or implicitly endorsed as being arguable, such as Camping Warehouse Australia Pty Ltd v Downer EDI Ltd [2014] VSC 357; Bolitho v Banksia Securities Ltd [2014] VSC 8; Earglow Pty Ltd v Newcrest Mining Ltd [2015] FCA 328; Grant-Taylor v Babcock & Brown Ltd (in liq) (2015) 104 ACSR 195.
The Full Court's decision in Caason Investments Pty Limited v Cao [2015] FCAFC 94 continues the line of cases that has endorsed the availability of indirect reliance for proving causation without actually finding causation proved. Like Caason, most of the decisions have been interlocutory judgments dealing with pleading issues where the defendants bore the usual higher burden of proof compared to the standard burden applicable at the trial stage. Alternatively the decisions have been obiter statements in final judgments.
Despite indirect reliance being accepted as being available to prove causation in shareholder class actions, it still remains unclear as to how that form of reliance will actually be proved. Edelman J highlighted the need to identify how the causal mechanism was said to operate, i.e. how did the relevant conduct affect the market price, or what were the links in the chain of causation?[12]
It is to be expected that the focus in relation to causation in shareholder class actions will now turn to the particulars of indirect reliance.
[1] Caason Investments Pty Limited v Cao [2015] FCAFC 94 at [154] (Edelman J).
[2] Wardley Australia Ltd v Western Australia (1992) 175 CLR 514, 525 (Mason CJ).
[3] Caason Investments Pty Limited v Cao [2014] FCA 1410 at [106].
[4] Caason Investments Pty Limited v Cao [2014] FCA 1410 at [111], [120]-[125].
[5] Caason Investments Pty Limited v Cao [2014] FCA 1410 at [116].
Quantum chemistry results that have nothing to do with the page >
........
(1)
Below is a cluster of 2 separate species, C4H4ClF in total, with properties calculated with ωB97M-V/def2-TZVPD.

```
10
C4H4ClF ωB97M-V/def2-TZVPD
C 2.0803 0.7290 -0.4204
C 1.5392 1.1476 0.5798
C -1.4014 -1.2779 -0.1455
C -1.0749 0.0017 0.0631
F -0.9403 -2.1909 0.7397
Cl -1.4456 1.1885 -1.1197
H 2.3614 0.4048 -1.3697
H 1.5200 1.4448 1.5492
H -1.8966 -1.8048 -0.8961
H -0.7420 0.3572 1.0195
```

E_LUMO	1.0	eV
SMILES	F/C=C/Cl.C#C
E	-19448.965	eV
HOMO-LUMO gap	10.4	eV
energy above the lowest of the compared OMol25 structures with the same formula, charge and spin	240.5	kJ/mol
max |F|	3.77	eV/Å


(2)
Below is a cluster of 5 separate species, C37H81IN7O14 in total, with properties calculated with ωB97M-V/def2-TZVPD.

```
140
C37H81IN7O14 ωB97M-V/def2-TZVPD
C 6.3912 -5.1049 0.6069
C 5.9358 -4.6952 -0.9242
C 6.8145 -3.3423 -1.3673
O 7.5752 -3.3310 -2.4932
O 6.6686 -2.1660 -0.4892
C 6.3314 -0.9465 -1.2504
C 4.8965 -0.9757 -2.0206
C 3.5925 -0.4786 -1.1995
N 2.4090 -0.0468 -2.0351
C 1.3742 0.2805 -0.9658
N 0.1492 0.6725 -1.4461
C -0.0208 0.7227 -2.9679
C -1.0080 0.9835 -0.4864
C -2.2205 -0.0754 -0.9413
C -2.9894 -0.7526 0.3547
C -4.4293 -1.3467 -0.2426
N -4.1738 -2.1379 -1.5054
C -4.5006 -3.6087 -1.3584
N -4.8399 -4.2911 -2.5259
N -4.4346 -4.3920 -0.0597
N 1.8984 0.0986 0.4470
N 3.1957 -0.3607 0.2431
I 4.3933 -0.8589 1.8338
H 6.5010 -4.1380 1.2986
H 5.6601 -5.8493 1.1423
H 7.4888 -5.5658 0.5132
H 6.0370 -5.5743 -1.7058
H 4.7827 -4.3999 -0.8843
H 7.2009 -0.7618 -2.0430
H 6.3678 -0.0232 -0.5050
H 4.6272 -2.0361 -2.4993
H 5.0100 -0.2538 -2.9657
H -1.1065 1.1020 -3.2604
H 0.7729 1.4325 -3.4975
H 0.0534 -0.3698 -3.4442
H -1.3502 2.1020 -0.5096
H -0.6897 0.6669 0.5954
H -2.9430 0.4857 -1.6862
H -1.6687 -0.9834 -1.4850
H -2.3943 -1.7093 0.7379
H -3.1677 -0.0101 1.2457
H -5.0318 -0.3733 -0.5814
H -5.0724 -1.8970 0.5648
H -4.7979 -1.8087 -2.3031
H -5.0232 -5.2991 -2.3288
H -5.3690 -4.2203 0.4023
H -4.3549 -5.4308 -0.2521
H 1.3521 0.2850 1.3177
C -5.2687 5.1370 3.7129
O -4.8090 5.6475 2.4707
C -5.0556 7.0493 2.3417
C -4.2316 7.6313 1.1908
O -2.8788 7.9203 1.5666
C -2.0184 6.7812 1.6979
C -1.6071 6.1894 0.3479
O -2.6252 5.3155 -0.1439
C -2.4301 4.9822 -1.5086
H -6.3407 5.3106 3.8281
H -5.0781 4.0607 3.7321
H -4.7169 5.5996 4.5375
H -4.8015 7.5644 3.2759
H -6.1222 7.1806 2.1309
H -4.6682 8.5983 0.9179
H -4.2671 7.0018 0.2988
H -2.4549 6.0306 2.3599
H -1.1158 7.1576 2.1914
H -0.6922 5.5992 0.4710
H -1.4272 6.9963 -0.3717
H -2.4951 5.8780 -2.1329
H -3.2209 4.2911 -1.8109
H -1.4613 4.4920 -1.6504
C 9.2982 -3.6089 -6.0801
O 8.1043 -3.3251 -6.7936
C 6.9734 -3.2162 -5.9267
C 5.8044 -2.5513 -6.6572
O 5.9044 -1.1216 -6.6800
C 6.8702 -0.5853 -7.5936
C 6.4138 -0.6619 -9.0523
O 6.6814 -1.9584 -9.5905
C 6.0151 -2.1729 -10.8240
H 9.2009 -4.5421 -5.5213
H 10.1127 -3.7095 -6.8023
H 9.5377 -2.7826 -5.4032
H 7.2352 -2.6302 -5.0374
H 6.6875 -4.2294 -5.6251
H 4.8885 -2.7677 -6.0964
H 5.6651 -2.9529 -7.6634
H 7.8508 -1.0422 -7.4452
H 6.9654 0.4722 -7.3240
H 6.9720 0.0682 -9.6488
........
[6] Caason Investments Pty Limited v Cao [2015] FCAFC 94 at [9] (Gilmour and Foster JJ).
[7] Caason Investments Pty Limited v Cao [2015] FCAFC 94 at [92] (Edelman J).
[8] Caason Investments Pty Limited v Cao [2015] FCAFC 94 at [65] (Gilmour and Foster JJ), [187] (Edelman J).
[9] Caason Investments Pty Limited v Cao [2015] FCAFC 94 at [62]-[63] (Gilmour and Foster JJ). See also [153] (Edelman J).
[10] Caason Investments Pty Limited v Cao [2015] FCAFC 94 at [68]-[71] (Gilmour and Foster JJ).
[11] Caason Investments Pty Limited v Cao [2015] FCAFC 94 at [154]-[156] (Edelman J).
[12] Caason Investments Pty Limited v Cao [2015] FCAFC 94, [112], [131]-[132], [184] (Edelman J).